Retype the part of the rows underneath that starts with the line with "Element" and stops after the one with "0.026 0.013".
DyTmAg2 | r2SCAN | relaxed

Total magnetic moment = 0.000 μB per atom
Energy of formation = -0.35 eV/atom

a b c (Å): 5.065 5.065 5.065
angles (deg): 60.00 60.00 60.00
Element x y z (fractional)
Ag  0.750  0.750  0.750
Dy  0.500  0.500  0.500
Ag  0.250  0.250  0.250
Tm  0.000  0.000  0.000


# 1
# Li4Fe3Cu2Sb3O16

An optimized crystal structure of Li4Fe3Cu2Sb3O16 (GGA+U, Materials Project).

abc: 6.105 6.120 9.949
angles: 89.34 88.77 60.31
Atoms (fractional coordinates):
Li1 0.000 0.000 0.000
Li2 0.007 0.998 0.489
Li3 0.353 0.331 0.595
Li4 0.684 0.668 0.115
Fe1 0.188 0.669 0.276
Fe2 0.681 0.174 0.276
Fe3 0.854 0.838 0.774
Cu1 0.369 0.354 0.013
Cu2 0.688 0.678 0.462
Sb1 0.191 0.175 0.275
Sb2 0.359 0.840 0.778
Sb3 0.853 0.347 0.777
O1 0.001 0.516 0.671
O2 0.024 0.009 0.178
O3 0.026 0.013 0.671
O4 0.056 0.485 0.156
O5 0.173 0.162 0.891
O6 0.176 0.703 0.886
O7 0.330 0.853 0.387
O8 0.348 0.336 0.388
O9 0.501 0.484 0.157
O10 0.504 0.033 0.159
O11 0.534 0.979 0.669
O12 0.536 0.521 0.664
O13 0.682 0.671 0.891
O14 0.706 0.171 0.886
O15 0.859 0.844 0.384
O16 0.866 0.319 0.388

Output
Formation energy: -1749 meV per atom
Magnetization: 17.0 μB/f.u.

# 2
# Li4Fe2Cu3Sb3O16

An optimized crystal structure of Li4Fe2Cu3Sb3O16 (GGA+U, Materials Project).

abc: 6.145 6.145 9.705
angles: 91.68 91.68 58.87
Atoms (fractional coordinates):
Li1 0.000 0.000 0.000
Li2 0.011 0.011 0.521
Li3 0.349 0.349 0.413
Li4 0.683 0.683 0.898
Fe1 0.371 0.371 0.991
Fe2 0.698 0.698 0.520
Cu1 0.191 0.683 0.726
Cu2 0.683 0.191 0.726
Cu3 0.851 0.851 0.232
Sb1 0.193 0.193 0.731
Sb2 0.358 0.851 0.229
Sb3 0.851 0.358 0.229
O1 0.025 0.025 0.817
O2 0.035 0.035 0.337
O3 0.054 0.492 0.865
O4 0.173 0.173 0.115
O5 0.187 0.699 0.117
O6 0.352 0.352 0.623
O7 0.356 0.874 0.609
O8 0.492 0.054 0.865
O9 0.500 0.500 0.854
O10 0.535 0.535 0.351
O11 0.536 0.980 0.350
O12 0.668 0.668 0.110
O13 0.699 0.187 0.117
O14 0.857 0.857 0.613
O15 0.874 0.356 0.609
O16 0.980 0.536 0.350

Output
Formation energy: -1699 meV per atom
Magnetization: 14.0 μB/f.u.

It is found that the final energy values, taken in the order of the records, are -5.857, -5.732 eV/atom.


[1]
# PBE-GGA LiYP4O12, optimized geometry
data_LiYP4O12
_symmetry_space_group_name_H-M 'C 1 2/c 1'
_symmetry_Int_Tables_number 15
_symmetry_space_group_name_Hall '-C 2yc'
_cell_length_a 16.4483
_cell_length_b 7.1321
_cell_length_c 9.6906
_cell_angle_alpha 90.00
_cell_angle_beta 126.06
_cell_angle_gamma 90.00
loop_
_atom_site_label
_atom_site_fract_x
_atom_site_fract_y
_atom_site_fract_z
Li1 0.0000 0.2058 0.2500
Y1 0.0000 0.2969 0.7500
P1 0.1373 0.0513 0.6159
P2 0.1460 0.3493 0.1945
O1 0.0661 0.0033 0.4286
O2 0.0716 0.4158 0.2260
O3 0.1122 0.2129 0.6838
O4 0.1265 0.3831 0.0247
O5 0.1566 0.1263 0.2336
O6 0.2451 0.0792 0.6504
# Total energy after the MP2020 corrections in eV/atom: -7.891
# DFT formation energy in eV per atom: -2.924
# Theoretical density in g/cm³: 2.98
# Energy in eV per cell: -535.2



[2]
# PBE-GGA DyH3, optimized geometry
data_DyH3
_symmetry_space_group_name_H-M 'P -3 m 1'
_symmetry_Int_Tables_number 164
_symmetry_space_group_name_Hall '-P 3 2"'
_cell_length_a 3.8360
_cell_length_b 3.8360
_cell_length_c 4.2861
_cell_angle_alpha 90.00
_cell_angle_beta 90.00
_cell_angle_gamma 120.00
loop_
_atom_site_label
_atom_site_fract_x
_atom_site_fract_y
_atom_site_fract_z
Dy1 0.0000 0.0000 0.0000
H1 0.0000 0.0000 0.5000
H2 0.3333 0.6667 0.0439
# Total energy after the MP2020 corrections in eV/atom: -4.188
# DFT formation energy in eV per atom: -0.492
# Theoretical density in g/cm³: 5.03
# Energy in eV per cell: -16.2



[3]
# PBE-GGA La3Mg2MoS8, optimized geometry
data_La3Mg2MoS8
_symmetry_space_group_name_H-M 'R -3 m'
_symmetry_Int_Tables_number 166
_symmetry_space_group_name_Hall '-R 3 2"'
_cell_length_a 8.1284
_cell_length_b 8.1284
_cell_length_c 19.1305
_cell_angle_alpha 90.00
_cell_angle_beta 90.00
_cell_angle_gamma 120.00
loop_
_atom_site_label
_atom_site_fract_x
_atom_site_fract_y
_atom_site_fract_z
La1 0.0000 0.5000 0.0000
Element x y z (fractional)
Ag  0.750  0.750  0.750
Dy  0.500  0.500  0.500
Ag  0.250  0.250  0.250
Tm  0.000  0.000  0.000


# 1
# Li4Fe3Cu2Sb3O16

An optimized crystal structure of Li4Fe3Cu2Sb3O16 (GGA+U, Materials Project).

abc: 6.105 6.120 9.949
angles: 89.34 88.77 60.31
Atoms (fractional coordinates):
Li1 0.000 0.000 0.000
Li2 0.007 0.998 0.489
Li3 0.353 0.331 0.595
Li4 0.684 0.668 0.115
Fe1 0.188 0.669 0.276
Fe2 0.681 0.174 0.276
Fe3 0.854 0.838 0.774
Cu1 0.369 0.354 0.013
Cu2 0.688 0.678 0.462
Sb1 0.191 0.175 0.275
Sb2 0.359 0.840 0.778
Sb3 0.853 0.347 0.777
O1 0.001 0.516 0.671
O2 0.024 0.009 0.178
O3 0.026 0.013 0.671